_Brief_
Search the contents below for the word "deg" and write out each line that has it, please.

_Excerpt_
=====
1.
# Tl2VCl5

An optimized crystal structure of Tl2VCl5 (PBE, the Alexandria database).

Output
* E_form (uncorrected): -1.077 eV per atom
* calculated total energy: -126.8 eV/cell
* E above lowest polymorph: 15 meV per atom
* total magnetization: 8.00 Bohr magnetons per cell

a b c (Å): 4.8514 16.7766 13.3737
angles (deg): 90.00 90.00 90.00
Closest atoms and distances in Å follow each position.
Space group Cmcm (No. 63)
One atom of each set of equivalent atoms:
Tl (0.0000, 0.1392, 0.0738)  5 Cl 3.06-3.24
V (0.0000, 0.1474, 0.7500)  6 Cl 2.34-2.44
Cl (0.0000, 0.0494, 0.6250)  1 V 2.34
Cl (0.0000, 0.2495, 0.6203)  1 V 2.44
Cl (0.0000, 0.3433, 0.2500)  2 V 2.43

2.
# TlV2Cl8

An optimized crystal structure of TlV2Cl8 (PBE, the Alexandria database).

Output
* E_form (uncorrected): -1.137 eV per atom
* calculated total energy: -95.8 eV/cell
* total magnetization: 6.00 Bohr magnetons per cell

a b c (Å): 13.3707 7.5390 7.9430
angles (deg): 90.00 106.55 90.00
Closest atoms and distances in Å follow each position.
Space group C2/m (No. 12)
One atom of each set of equivalent atoms:
Tl (0.0000, 0.0000, 0.0000)  6 Cl 3.30-3.35
V (0.2014, 0.0000, 0.6863)  4 Cl 2.18-2.19
Cl (0.1274, 0.2286, 0.7725)  1 V 2.19
Cl (0.1311, 0.5000, 0.1875)  1 V 2.18
Cl (0.1716, 0.0000, 0.4003)  1 V 2.19


[1]
Material: CuNiCl2
Method: DFT, PBE
State: relaxed

a b c (Å): 6.5259 6.5259 6.5259
angles (deg): 131.62 131.62 70.83
Fractional positions:
Cu: 0.0000 0.0000 0.0000
Cu: 0.7500 0.2500 0.5000
Ni: 0.2500 0.7500 0.5000
Ni: 0.5000 0.5000 0.0000
Cl: 0.1329 0.6250 0.0079
Cl: 0.3750 0.3829 0.5079
Cl: 0.6171 0.1250 0.9921
Cl: 0.8750 0.8671 0.4921

Output
N(E_F)   3.9 states/eV/f.u.
Symmetry   I-42d (122)
Calculated density   4.2 Mg/m³
Distance to the lowest polymorph of the same formula   59 meV/atom

[2]
Material: CuNiCl
Method: DFT, PBE
State: relaxed

a b c (Å): 3.0930 3.0930 5.2953
angles (deg): 90.00 90.00 120.00
Fractional positions:
Cu: 0.0000 0.0000 0.0000
Ni: 0.6667 0.3333 0.3200
Cl: 0.3333 0.6667 0.6203

Output
N(E_F)   3.1 states/eV/f.u.
Symmetry   P3m1 (156)
Calculated density   6.0 Mg/m³
Distance to the lowest polymorph of the same formula   0 meV/atom

[3]
Material: Cu2NiCl
Method: DFT, PBE
State: relaxed

a b c (Å): 3.0265 3.0346 6.3719
angles (deg): 90.00 90.50 90.00
Fractional positions:
Cu: 0.0050 0.0000 0.2017
Cu: 0.9950 0.0000 0.7983
Ni: 0.5000 0.5000 0.0000
Cl: 0.0000 0.5000 0.5000

Output
N(E_F)   4.7 states/eV/f.u.
Symmetry   P2/m (10)
Calculated density   6.3 Mg/m³
Distance to the lowest polymorph of the same formula   39 meV/atom

[4]
Material: CuNiCl
Method: DFT, PBE
State: relaxed

a b c (Å): 4.0399 4.0399 4.0399
angles (deg): 60.00 60.00 60.00
Fractional positions:
Cu: 0.0000 0.0000 0.0000
Ni: 0.7500 0.7500 0.7500
Cl: 0.5000 0.5000 0.5000

Output
N(E_F)   4.8 states/eV/f.u.
Symmetry   F-43m (216)
Calculated density   5.6 Mg/m³
Distance to the lowest polymorph of the same formula   256 meV/atom

[5]
Material: CuNi2Cl
Method: DFT, PBE
State: relaxed

a b c (Å): 4.0879 4.0879 6.0189
angles (deg): 96.85 96.85 41.38
Fractional positions:
Cu: 0.0000 0.0000 0.0000
Ni: 0.4730 0.4730 0.3395
Ni: 0.7391 0.7391 0.1822
Cl: 0.0447 0.0447 0.6340

Output
N(E_F)   5.7 states/eV/f.u.
Symmetry   Cm (8)
Calculated density   5.4 Mg/m³
Distance to the lowest polymorph of the same formula   108 meV/atom

[6]
Material: CuNi5Cl12
Method: DFT, PBE
State: relaxed

a b c (Å): 6.0449 6.0449 12.4884
angles (deg): 90.06 90.06 120.08
Fractional positions:
Cu: 0.0000 0.0000 0.0000
Ni: 0.1667 0.8333 0.5000
Ni: 0.3333 0.6667 0.0000
Ni: 0.5000 0.5000 0.5000
Ni: 0.6667 0.3333 0.0000
Ni: 0.8333 0.1667 0.5000
Cl: 0.0003 0.3420 0.1056
Cl: 0.9997 0.6580 0.8944
Cl: 0.1661 0.1661 0.3960
Cl: 0.1673 0.5005 0.6039
Cl: 0.3406 0.3406 0.8946
Cl: 0.3420 0.0003 0.1056
Cl: 0.5005 0.1673 0.6039
Cl: 0.4995 0.8327 0.3961
Cl: 0.6580 0.9997 0.8944
Cl: 0.6594 0.6594 0.1054
Cl: 0.8327 0.4995 0.3961
Cl: 0.8339 0.8339 0.6040

Output
N(E_F)   14.6 states/eV/f.u.
Symmetry   C2/m (12)
=====

_Response_
angles (deg): 90.00 90.00 90.00
angles (deg): 90.00 106.55 90.00
angles (deg): 131.62 131.62 70.83
angles (deg): 90.00 90.00 120.00
angles (deg): 90.00 90.50 90.00
angles (deg): 60.00 60.00 60.00
angles (deg): 96.85 96.85 41.38
angles (deg): 90.06 90.06 120.08